### Entries
# 1
Computed, not measured: a gas-phase ion, C3H11N2 (charge +1) at a distorted geometry, with wB97M-V/def2-TZVPD.

Geometry (Å):
N  -0.7661  -1.4609  0.2887
C  -1.3927  -0.1315  0.0051
C  -0.4065  1.0279  0.3367
C  0.8599  0.9526  -0.5024
N  1.6070  -0.3115  -0.1664
H  -0.9303  -1.6962  1.2768
H  -1.2802  -2.2048  -0.2297
H  -2.2838  0.0297  0.5994
H  -1.6761  -0.0882  -1.0388
H  -0.1677  0.9852  1.3574
H  -0.9169  1.9799  0.1182
H  1.5644  1.7849  -0.2770
H  0.6341  0.9817  -1.6029
H  2.1619  -0.2322  0.7130
H  0.7796  -1.0285  0.0152
H  2.2135  -0.5880  -0.8933

For the total energy, the calculation gives -230.1786 Ha. The energy relative to the best compared isomer or geometry (same formula, charge and spin) is 0.102 eV. Its total charge is +1. The LUMO energy is -3.124 eV. The calculation puts the frontier orbital gap at 11.593 eV. As for the structure (SMILES): NCCC[NH3+].

Here are the Mulliken charges for atoms 1 to 2, given in e:
1 N -0.6451
2 C -0.5530

# 2
Computed, not measured: C4H10ClF in the gas phase at a distorted geometry, with wB97M-V/def2-TZVPD.

Geometry (Å):
C  -1.4133  1.7384  -1.4395
C  -0.1372  2.2100  -0.7713
C  0.8747  -2.4536  0.5583
C  0.5653  -1.4384  1.6355
H  -1.1918  1.2046  -2.3687
H  -1.9698  1.0714  -0.7717
H  -2.0380  2.6123  -1.6800
H  -0.3412  2.7359  0.1627
H  0.4369  2.8683  -1.4218
H  0.0616  -2.4955  -0.1726
H  0.9992  -3.4498  0.9976
H  1.7974  -2.1862  0.0352
H  -0.3630  -1.6875  2.1617
H  1.3772  -1.3783  2.3705
F  0.4099  -0.1840  1.0621
Cl  0.9322  0.8323  -0.3579

For the total energy, the calculation gives -718.3205 Ha. The energy relative to the best compared isomer or geometry (same formula, charge and spin) is 2.869 eV. The LUMO energy is 1.028 eV. The calculation puts the frontier orbital gap at 8.990 eV.

Here are the Mulliken charges for atoms 1 to 2, given in e:
1 C -1.0174
2 C -0.2613

# 3
Computed, not measured: C5H8N2 in the gas phase, with wB97M-V/def2-TZVPD.

Geometry (Å):
C  1.6602  0.6585  0.9559
C  1.1136  0.3754  -0.4388
N  -0.2673  -0.0837  -0.3953
C  -1.3637  0.7418  -0.1566
C  -2.5343  0.0263  -0.0445
N  -2.0401  -1.2744  -0.2346
C  -0.7033  -1.3408  -0.4483
H  2.6929  1.0158  0.8931
H  1.0595  1.4219  1.4598
H  1.6422  -0.2475  1.5695
H  1.7187  -0.3743  -0.9574
H  1.1250  1.2848  -1.0488
H  -1.2312  1.8135  -0.1638
H  -2.7240  -1.9609  -0.4876
H  -0.0520  -2.1985  -0.5909

For the total energy, the calculation gives -304.7551 Ha. The energy relative to the best compared isomer or geometry (same formula, charge and spin) is 2.187 eV. The LUMO energy is 0.761 eV. The calculation puts the frontier orbital gap at 8.445 eV.

Here are the Mulliken charges for atoms 1 to 2, given in e:
1 C -0.9930
2 C -0.5620

# 4
Computed, not measured: 3 unconnected molecules or ions with the total composition C4H8N2O at a distorted geometry, with wB97M-V/def2-TZVPD.

Geometry (Å):
C  0.3495  0.7853  0.2106
C  -2.4605  0.5590  -0.0486
C  0.2679  -0.5558  0.0667
C  0.3176  -1.8306  -0.1228
O  -1.4389  0.3645  0.8932
N  2.4148  0.3394  -0.5943
N  3.1296  0.2973  0.3615
H  4.1479  0.3019  0.0929
H  0.1110  1.4403  -0.6171
H  0.7424  1.2125  1.1228
H  -2.0966  0.5118  -1.0902
H  -2.9392  1.5400  0.0833
H  -3.2340  -0.2136  0.0541
H  -0.5270  -2.4647  0.1183
H  1.2154  -2.2870  -0.5303

For the total energy, the calculation gives -341.6973 Ha. The energy relative to the best compared isomer or geometry (same formula, charge and spin) is 8.337 eV. The LUMO energy (alpha / beta) is 0.388 / 0.336 eV. The calculation puts the frontier orbital gap (alpha / beta) at 8.345 / 7.679 eV.

Here are the Mulliken charges for atoms 1 to 2, given in e:
1 C -0.1753
2 C -0.6274

# 5
Computed, not measured: 3 unconnected molecules or ions with the total composition C3H8N2O2 at a distorted geometry, with wB97M-V/def2-TZVPD.

Geometry (Å):
C  -2.0376  -0.3377  -0.7795
C  -0.8317  0.3731  -0.9292
N  -0.3471  0.5280  0.3587
C  -1.1688  -0.2146  1.1751
N  -2.1555  -0.7407  0.4932

### Brief
Could you type out only the lines above with the word "For" in them?

### Worked solution
For the total energy, the calculation gives -230.1786 Ha. The energy relative to the best compared isomer or geometry (same formula, charge and spin) is 0.102 eV. Its total charge is +1. The LUMO energy is -3.124 eV. The calculation puts the frontier orbital gap at 11.593 eV. As for the structure (SMILES): NCCC[NH3+].
For the total energy, the calculation gives -718.3205 Ha. The energy relative to the best compared isomer or geometry (same formula, charge and spin) is 2.869 eV. The LUMO energy is 1.028 eV. The calculation puts the frontier orbital gap at 8.990 eV.
For the total energy, the calculation gives -304.7551 Ha. The energy relative to the best compared isomer or geometry (same formula, charge and spin) is 2.187 eV. The LUMO energy is 0.761 eV. The calculation puts the frontier orbital gap at 8.445 eV.
For the total energy, the calculation gives -341.6973 Ha. The energy relative to the best compared isomer or geometry (same formula, charge and spin) is 8.337 eV. The LUMO energy (alpha / beta) is 0.388 / 0.336 eV. The calculation puts the frontier orbital gap (alpha / beta) at 8.345 / 7.679 eV.